Exercise: The catalyst of my transformation Growing up on a farm in Oregon, I enjoyed…

Running and Writing: Anjuna Spotlight on Holly
As the Editor-in-Chief of Anjuna’s content marketing team, most of my time is spent behind the scenes, working with our writers, practitioners, and managers to produce content our audience will find valuable. It occurred to us some time ago, though, that one of the best ways to connect with people and provide value is to make sure our audience knows who we are, the people behind the stories, behind the scenes- the people who make up the heart of Anjuna. So, in the spirit of sharing and relationship building, here’s a bit more about my life and what makes me the person I am today!
Here the page breaks off for data records >
=====
(1)
A plane-wave DFT calculation with GGA+U was carried out for a relaxed structure of CoO2.

E_tot, eV per cell: -16.340
Size of the total moment, μB per cell: 3.0

Lattice parameters (Å, degrees): 2.859 2.859 11.168 99.70 99.70 65.17
Sites, in units of the cell vectors:
Co (0.000, 0.000, 0.000)
O (0.268, 0.268, 0.910)
O (0.732, 0.732, 0.090)

(2)
A plane-wave DFT calculation with GGA+U was carried out for a relaxed structure of CoO2.

E_tot, eV per cell: -34.430

Lattice parameters (Å, degrees): 2.823 7.111 4.929 96.64 90.01 78.56
Sites, in units of the cell vectors:
Co (0.500, 0.000, 0.500)
Co (0.000, 0.000, 0.000)
O (0.068, 0.864, 0.311)
O (0.432, 0.136, 0.189)
O (0.568, 0.864, 0.811)
O (0.932, 0.136, 0.689)

(3)
A plane-wave DFT calculation with GGA+U was carried out for a relaxed structure of Co9O13.

E_tot, eV per cell: -126.938
Size of the total moment, μB per cell: 29.0

Lattice parameters (Å, degrees): 5.137 5.137 16.934 98.11 98.11 33.99
Sites, in units of the cell vectors:
Co (0.000, 0.000, 0.000)
Co (0.148, 0.148, 0.543)
Co (0.249, 0.249, 0.917)
Co (0.438, 0.438, 0.627)
Co (0.487, 0.487, 0.825)
Co (0.513, 0.513, 0.175)
Co (0.562, 0.562, 0.373)
Co (0.751, 0.751, 0.083)
Co (0.852, 0.852, 0.457)
O (0.071, 0.071, 0.632)
O (0.110, 0.110, 0.104)
O (0.120, 0.120, 0.830)
O (0.204, 0.204, 0.436)
O (0.367, 0.367, 0.026)
O (0.391, 0.391, 0.726)
O (0.500, 0.500, 0.500)
O (0.609, 0.609, 0.274)
O (0.633, 0.633, 0.974)
O (0.796, 0.796, 0.564)
O (0.880, 0.880, 0.170)
O (0.890, 0.890, 0.896)
O (0.929, 0.929, 0.368)

Among the records above, which one has the highest E_tot?
number 1

What did the third record say?
A plane-wave DFT calculation with GGA+U was carried out for a relaxed structure of Co9O13.

E_tot, eV per cell: -126.938
Size of the total moment, μB per cell: 29.0

Lattice parameters (Å, degrees): 5.137 5.137 16.934 98.11 98.11 33.99
Sites, in units of the cell vectors:
Co (0.000, 0.000, 0.000)
Co (0.148, 0.148, 0.543)
Co (0.249, 0.249, 0.917)
Co (0.438, 0.438, 0.627)
Co (0.487, 0.487, 0.825)
Co (0.513, 0.513, 0.175)
Co (0.562, 0.562, 0.373)
Co (0.751, 0.751, 0.083)
Co (0.852, 0.852, 0.457)
O (0.071, 0.071, 0.632)
O (0.110, 0.110, 0.104)
O (0.120, 0.120, 0.830)
O (0.204, 0.204, 0.436)
O (0.367, 0.367, 0.026)
O (0.391, 0.391, 0.726)
O (0.500, 0.500, 0.500)
O (0.609, 0.609, 0.274)
O (0.633, 0.633, 0.974)
O (0.796, 0.796, 0.564)
O (0.880, 0.880, 0.170)
O (0.890, 0.890, 0.896)
O (0.929, 0.929, 0.368)

~~~~~

Li9Mn2Co5O16, optimized geometry, DFT GGA+U; volume = 291.3 Å³ per cell; distance to the lowest polymorph of the same formula = 142 meV per atom; symmetry = C2/m; ΔH_f (0 K) = -5316 kJ/mol of formula units; crystal system = monoclinic; M_tot = 23.3 μB/f.u.
1.0
0.997 -1.389 2.442
1.384 1.448 2.208
-34.136 6.108 17.448
Li Mn Co O
9 2 5 16
Direct
0.940 0.940 0.814
0.319 0.319 0.940
0.681 0.681 0.060
0.060 0.060 0.186
0.440 0.440 0.313
0.813 0.813 0.438
0.187 0.187 0.562
0.560 0.560 0.687
0.000 0.000 0.000
0.250 0.250 0.750
0.750 0.750 0.250
=====
Currently, I work two jobs. Part of the time, I’m editing and writing articles and collaborating with the amazing team at Anjuna. The rest of my time is spent designing the customer service department at a small, tech start-up in Atlanta. Almost polar opposites, right? Though, the two are tied in more ways than even I knew when I started, and I love the learning opportunities each job provides. When I’m not working, I’m either running, reading, or spending time with my family.
Running is an incredibly important part of my life, and I consider it as one of the foundations upon which my personality, happiness and soul all rely. These days, I run 20-30 miles a week, and I actually enjoy it. Incorporating this type of exercise routine into my life gives me balance, purpose, control and stress-relief. However, the path I took to get here was all but smooth.
In all honesty, I don’t think I was built for running. I’m neither tall, nor am I short. I was never a thin child; I was average in both shape and size. And, I never felt like a natural athlete. As a child, I dabbled in almost every activity: karate, cheerleading, soccer, piano, dance, swimming, etc. But, up until high school, I never excelled at any activity. Then, I found volleyball. And from volleyball, I found running. Volleyball allowed me to discover talents I never knew I had, and it gave me confidence. In the off-seasons, I was determined to stay in shape and keep myself at peak performance levels, so I started jogging, and I was happy.
Enter college. College years are supposed to be “the best” years, but my college years were actually pretty tough. During my junior and senior year, I experienced my first taste of real stress, and I did not handle it well. I turned to something that had once brought me joy and kept me fit, running, but I turned to it too hard. I became obsessed with working out and running, as it was the only thing I thought I could control in my stressful life at the time. I started going to the gym for 1.5-2 hours every day, foregoing friendships, time spent with family, and time spent on my schoolwork. Then, as everything else kept falling apart, I felt like I had to control my body even more, so I decided to start dieting as well. Though, dieting might not be the right word. Really, I was starving myself. I was worried that eating would undo all the hard work I was doing at the gym, so I barely ate.
To cut a long story short, I hit rock bottom. I was too thin, I was working out too much, and I was incredibly depressed. It took a long time for me to accept the support my family and friends were offering, and it took me even longer to get back to a healthy mindset in which I could think about food and exercise as things that were meant to enhance my life, not ruin it.
I am actually very thankful for the struggles I experienced surrounding my body image and my idea of health, fitness, and wellness because they’ve helped me understand, truly, what makes a person healthy and happy. I’m so lucky to be where I am in life now, working with people who value health and wellness as much as I do and doing my best to help others achieve wellness in their lives.